Sunday, August 5, 2012


As some of you may know, I live in an industrial town- admittedly an attractive seaside one- but industrial nonetheless.

For the most part- we are told we live in a healthy environment.
I have never had any problems…until now.

I have been sick as hell lately, worst I have ever been, with some strange unspecified viral infection which seems to be common- indeed, almost epidemic- in this town.
One by one, my family and neighbours have been coming down with it.

It’s not an age thing; my little nephew is sick as I am.   
We are talking sick for weeks. Two, three courses of antibiotics.

This is not normal.

(Calculated crystals that have nothing to do with the page)
<<<
1.
The following is a theoretical powder X-ray diffraction pattern of Zn2InGaO5. It was derived from a crystal structure in OQMD, relaxed with PBE, using Cu Kα (λ = 1.5418 Å).
Lines closer than 0.1° are merged.

Atomic structure:
Lattice parameters (Å, degrees): 3.307 3.307 22.539 90.00 90.00 120.00
Atoms (fractional coordinates):
Zn1 0.333 0.667 0.135
Zn2 0.333 0.667 0.365
Zn3 0.667 0.333 0.635
Zn4 0.667 0.333 0.865
In1 0.000 0.000 0.000
In2 0.000 0.000 0.500
Ga1 0.000 0.000 0.250
Ga2 0.000 0.000 0.750
O1 0.000 0.000 0.162
O2 0.000 0.000 0.338
O3 0.000 0.000 0.662
O4 0.000 0.000 0.838
O5 0.333 0.667 0.048
O6 0.333 0.667 0.250
O7 0.333 0.667 0.452
O8 0.667 0.333 0.548
O9 0.667 0.333 0.750
O10 0.667 0.333 0.952

Largest 6 diffraction maxima, by angle, 10 to 80 degrees two-theta:
31.5°, d 2.841, I = 36.2; 31.8°, d 2.817, I = 37.8; 35.2°, d 2.553, I = 100.0; 55.6°, d 1.653, I = 41.1; 58.8°, d 1.571, I = 31.4; 65.4°, d 1.426, I = 27.1


2.
The following is a theoretical powder X-ray diffraction pattern of Zn3InGaO6. It was derived from a crystal structure in OQMD, relaxed with PBE, using Cu Kα (λ = 1.5418 Å).
Lines closer than 0.1° are merged.

Atomic structure:
Lattice parameters (Å, degrees): 14.039 14.039 11.441 93.99 93.99 13.48
Atoms (fractional coordinates):
Zn1 0.000 0.000 0.000
Zn2 0.000 0.000 0.495
Zn3 0.091 0.091 0.343
Zn4 0.187 0.187 0.028
Zn5 0.189 0.189 0.529
Zn6 0.279 0.279 0.375
Zn7 0.282 0.282 0.880
Zn8 0.499 0.499 0.245
Zn9 0.499 0.499 0.745
Zn10 0.594 0.594 0.098
Zn11 0.779 0.779 0.127
Zn12 0.782 0.782 0.624
In1 0.389 0.389 0.062
In2 0.390 0.390 0.561
In3 0.890 0.890 0.311
In4 0.891 0.891 0.812
Ga1 0.092 0.092 0.848
Ga2 0.595 0.595 0.596
Ga3 0.684 0.684 0.277
Ga4 0.689 0.689 0.775
O1 0.019 0.019 0.333
O2 0.023 0.023 0.833
O3 0.102 0.102 0.521
O4 0.105 0.105 0.005
O5 0.174 0.174 0.845
O6 0.181 0.181 0.358
O7 0.260 0.260 0.037
O8 0.260 0.260 0.543
O9 0.350 0.350 0.389
O10 0.351 0.351 0.886
O11 0.428 0.428 0.235
O12 0.430 0.430 0.734
O13 0.521 0.521 0.083
O14 0.524 0.524 0.585
O15 0.601 0.601 0.766
O16 0.610 0.610 0.269
O17 0.671 0.671 0.616
O18 0.678 0.678 0.114
O19 0.756 0.756 0.289
O20 0.757 0.757 0.789
O21 0.850 0.850 0.138
O22 0.852 0.852 0.640
O23 0.929 0.929 0.984
O24 0.930 0.930 0.486

Largest 6 diffraction maxima, by angle, 10 to 80 degrees two-theta:
31.4°, d 2.850, I = 83.6; 32.2°, d 2.781, I = 60.8; 34.8°, d 2.576, I = 100.0; 35.8°, d 2.506, I = 92.7; 47.2°, d 1.926, I = 42.0; 55.7°, d 1.650, I = 45.7


3.
The following is a theoretical powder X-ray diffraction pattern of Zn2InGaO5. It was derived from a crystal structure in OQMD, relaxed with PBE, using Cu Kα (λ = 1.5418 Å).
Lines closer than 0.1° are merged.

Atomic structure:
Lattice parameters (Å, degrees): 8.823 8.823 23.137 104.26 104.26 21.64
Atoms (fractional coordinates):
Zn1 0.000 0.000 0.000
Zn2 0.241 0.241 0.391
Zn3 0.316 0.316 0.616
Zn4 0.333 0.333 0.000
Zn5 0.502 0.502 0.501
Zn6 0.512 0.512 0.883
Zn7 0.575 0.575 0.385
Zn8 0.589 0.589 0.112
>>>

You may remember I mentioned not long ago, there was a hazardous chemical spill in town, wherein residents had to seal up all their doors, windows and vents in their house, & stay indoors.
There were the usual denials and white wash…but it all blew over.

Now- the town is experiencing unprecedented viral & respiratory illness of the type I have mentioned. Co-incidence?
Well, apparently not.

You know me…I have my special challenges, & weird ways of working through them.
Nutty as a fruit cake, you might say.  And not always in a cute cuddly Frank Spencer way.

I accepted that…hell, I think from childhood.
It’s no big deal; I work with it.  Like you work through your shit.

And people keep the sharps away from me.
The sharpest thing I have is my pen.

All I can do is record what I see as accurately as possible, document the chaos, & hope to make some connections with my fellow man, get some corroboration, find some patterns, some links.
Affirmation. Verification.

I record what I see- not only in the world, but in my mind’s eye.
I have been a bit odd lately- to day the least. If you read it- it’s like an organism under attack.

Which…in effect…is what is happening.
Internally…externally…& not only me.

It would seem I am not alone; such strange illness is rife, & on the increase. 
It’s like the movie ‘The Crazies’ here.

Small town, in the grip of some weird virus, goes mad.
For those living in Australia, it will be in the papers.

The usual denials, the usual cover ups, etc.
You know the drill.  

We have been through this before.
But at least it’s comforting to know it is not just me.

A doco opportunity fallen into my lap?
Well…not really.  Because it is simply a reminder of things to come.

Another doco on the effects of toxic industry on a town? Who would care?
We know. We already know.

And I’ll bet there are worse towns than this one- much more poisonous.
All over the world.

As pretty as a town is- if you live near heavy industry…you take certain risks.

Frankly- the local Aluminium smelter is like a giant spaceship at night.
Some days, you can almost taste the fertiliser as the fumes from Hi-fert and Pivot factories make their way out to sea.         

I don’t need to tell you about chemtrails, and the like.
I guess we are choking on our own crap.

On some level, we all know this.
But when you start to feel the effects in your own home…

You start to take note.
It’s a wake up. & it is important I do my usual thing.

Write my way through it- stick to the word, hold on tight, and see if it will get me through the maelstrom with something useful to report at the end of it.
I had a feeling I was in the middle of something the last few weeks…& the best plan is to hold on tight, ride it out, and see where she goes.

Tomorrow will see me in the Doctor’s Office again- if I can get in.
And over the coming week- we will find out more in the news.

And I will try again to find a way out.
But…that’s not the cut and thrust of my story.

This is going somewhere.
I hope you will come with me for a little while...